Yunxi mutton

Daixi Matou Goat, an excellent local variety in Luxi County, is famous throughout the country for its delicate meat, no astringency, high fertility and adaptability. Characteristics of the ingredients: the horse-headed goats have no horns, the head shape is like a horse, and the temperament is slow, commonly known as "lazy sheep."

== Calculated crystals from another source follow ==
~~~
Theoretical powder diffractogram
Compound: Re8Tc2Pd
Radiation: CuKα
Structure: a DFT-relaxed cell (GGA-PBE, Alexandria)
Intensities are scaled so that the largest is 100.

Principal peaks in the range 10° ≤ 2θ ≤ 90°, by intensity:
41.20 deg, 2.191 Å, intensity 100; 42.33 deg, 2.135 Å, intensity 66; 40.77 deg, 2.213 Å, intensity 63; 43.11 deg, 2.098 Å, intensity 57; 41.60 deg, 2.171 Å, intensity 56; 42.11 deg, 2.146 Å, intensity 44; 40.51 deg, 2.227 Å, intensity 24; 36.08 deg, 2.489 Å, intensity 22

Crystal structure
Cell lengths 4.961, 5.339, 6.995 Å; angles 108.45, 98.00, 97.36 degrees
Sites, in units of the cell vectors:
Re (0.012, 0.427, 0.164)
Re (0.082, 0.063, 0.818)
Re (0.258, 0.865, 0.465)
Re (0.438, 0.112, 0.180)
Re (0.562, 0.888, 0.820)
Re (0.742, 0.135, 0.535)
Re (0.918, 0.937, 0.182)
Re (0.988, 0.573, 0.836)
Tc (0.263, 0.404, 0.547)
Tc (0.737, 0.596, 0.453)
Pd (0.500, 0.500, 0.000)

---

Theoretical powder diffractogram
Compound: Th4RePd
Radiation: CuKα
Structure: a DFT-relaxed cell (GGA-PBE, Alexandria)
Intensities are scaled so that the largest is 100.

Principal peaks in the range 10° ≤ 2θ ≤ 90°, by intensity:
31.21 deg, 2.865 Å, intensity 100; 39.09 deg, 2.304 Å, intensity 33; 38.83 deg, 2.319 Å, intensity 33; 34.53 deg, 2.597 Å, intensity 23; 53.67 deg, 1.708 Å, intensity 23; 62.24 deg, 1.492 Å, intensity 22; 54.08 deg, 1.696 Å, intensity 20; 29.71 deg, 3.007 Å, intensity 11

Crystal structure
Cell lengths 7.287, 7.287, 6.015 Å; angles 90.00, 90.00, 90.00 degrees
Sites, in units of the cell vectors:
Th (0.157, 0.325, 0.000)
Th (0.157, 0.675, 0.500)
Th (0.325, 0.157, 0.500)
Th (0.325, 0.843, 0.000)
Th (0.675, 0.157, 0.000)
Th (0.675, 0.843, 0.500)
Th (0.843, 0.325, 0.500)
Th (0.843, 0.675, 0.000)
Re (0.000, 0.000, 0.250)
Re (0.000, 0.000, 0.750)
Pd (0.500, 0.500, 0.250)
Pd (0.500, 0.500, 0.750)

---

Theoretical powder diffractogram
Compound: Zr4RePd
Radiation: CuKα
Structure: a DFT-relaxed cell (GGA-PBE, Alexandria)
Intensities are scaled so that the largest is 100.

Principal peaks in the range 10° ≤ 2θ ≤ 90°, by intensity:
37.08 deg, 2.425 Å, intensity 100; 37.87 deg, 2.376 Å, intensity 48; 67.87 deg, 1.381 Å, intensity 33; 54.63 deg, 1.680 Å, intensity 16; 66.31 deg, 1.410 Å, intensity 16; 78.98 deg, 1.212 Å, intensity 10; 16.88 deg, 5.253 Å, intensity 9; 52.24 deg, 1.751 Å, intensity 9

Crystal structure
Cell lengths 3.360, 3.360, 10.507 Å; angles 90.00, 90.00, 90.00 degrees
Sites, in units of the cell vectors:
Zr (0.000, 0.000, 0.152)
Zr (0.000, 0.000, 0.848)
Zr (0.500, 0.500, 0.340)
Zr (0.500, 0.500, 0.660)
Re (0.500, 0.500, 0.000)
Pd (0.000, 0.000, 0.500)

---

Theoretical powder diffractogram
Compound: PdRh
Radiation: CuKα
Structure: a DFT-relaxed cell (GGA-PBE, Alexandria)
Intensities are scaled so that the largest is 100.

Principal peaks in the range 10° ≤ 2θ ≤ 90°, by intensity:
~~~
== The calculated crystals stop here ==

The west horse head goat has a long head and a medium size. The ram has a long hair (male characteristics) at the top of the forehead at 4 months of age, and gradually stretches to cover the upper edge of the eyelid. It will last for a long time. After all, it will be stripped off and will not resurrect. The horse head has a rectangular shape with a well-structured structure, solid bones, straight back, ribs open, wide buttocks, slightly inclined, short and upturned. Breast development is acceptable. The limbs are strong and strong, and the gait is like a horse while walking, nodding frequently. The goat's skin is thick and soft, and the hair is thin and lint-free. The hair is mainly white, with a small amount of black and hemp. According to the short length of hair, it can be divided into two types: long hair type and short hair type. According to the spine, it can be divided into two categories: "double ridge" and "single ridge". The quality of "double ridge" and "long hair" is better. Nutritional value: The mutton is tender and has high nutritional value. Anyone with insufficient kidney yang, weak waist and knees, cold pain in the abdomen and insufficient labor can use it as a therapeutic food. Mutton is rich in nutrients, and has great benefits for tuberculosis, bronchitis, asthma, anemia, postpartum qi and blood deficiency, abdominal cold pain, body chills, malnutrition, weak waist and knees, impotence and premature ejaculation, and all debilitating cold conditions; It is suitable for regular consumption of men and women.

Technical requirements for the quality of Maxi goat meat in the west of the country 1. Variety of horse head goats. Second, feeding management 1. Feed source: natural forages such as grasses, thorns, legumes, and compositae, or artificially planted white clover, ryegrass, light leaves, alfalfa, alfalfa, and royal bamboo Advantageous pastures, as well as orange stems, green sweet corn vines, pea vines, peanut vines and other food crops. The concentrate is made from locally grown corn, sweet potato, bean seeds, rapeseed, sesame, peanut cake and other crops or bran. 2. (2) Requirements for the pens: Hanging-legged sheep houses, 1.2m to 1.5m from the ground. The sheep bar is 50m2 to 100m2 each, and there is a 20m2 wintering room in the column. (3) Feeding management: According to the species of rams, litter ewes, and fattening sheep, they are managed in groups and classified. 1 Lamb feeding management: Eat colostrum within 48 hours after birth. After 10 days of age, the young and green hay were fed, and after 30 days, the concentrate was supplemented and the lactation period was 2 months. 2 breeding sheep breeding management: choose healthy sheep with weight ≥ 20kg, using grazing and supplement feeding mixed fattening method, according to each sheep 1kg to 2kg hay and 0.2kg to 0.3kg mixed concentrate to supplement. Feed 2 to 3 times a day. 3 Out of the market: commercial sheep from 12 months to 18 months old with a body weight of ≥30kg; lambs with a body weight of ≥10kg from 6 months to 11 months old can be released after passing the quarantine. 3. Environmental and safety requirements: Feeding environment, prevention and control of epidemic diseases must implement relevant national regulations and must not pollute the environment. Third, slaughtering and processing 1. Sheep source standard: healthy sheep from non-epidemic areas within the scope of production, meeting the requirements of variety, age and weight. 2. (2) scalding and fading: scalding in a hot pot at a water temperature of 63 ° C to 67 ° C for 3 minutes, hand fading. (3) Cooling and fresh-keeping: 0 ° C to 4 ° C, cooling for 24 hours. Fourth, the quality characteristics 1. Sensory features: (1) Appearance: bright red and shiny; muscle fibers are dense and elastic; fat is white and has a clear aroma. (2) Taste: The meat is tender and delicious, the taste is slight, the meat tastes fragrant, and the taste is not greasy. 2. Safety and other quality technical requirements: Product safety and other quality technical requirements must comply with relevant national regulations.

Apply to:
Producers within the production area of ​​Maxi goat meat in western Fujian may apply to the Quality and Technical Supervision Bureau of Luxi County, Hubei Province for the use of the “Special Mark for Geographical Indication Products”, which is reviewed by the Hubei Provincial Bureau of Quality and Technical Supervision and submitted to the General Administration of Quality Supervision, Inspection and Quarantine for approval. After the announcement. The detection mechanism of the Maxi goat meat in the west of the country is selected by the Hubei Provincial Bureau of Quality and Technical Supervision in the inspection institutions that meet the qualification requirements.